April 15, 2015
What types of insurance claims are most commonly incurred by small businesses? What kinds of claims are the most costly? A study performed by The Hartford, a financial services company, addressed those questions. The insurer analyzed claims data from over one million policies purchased by small business owners. The data covered a five-year period (2010 through 2014) and applied to liability, auto and property claims.
The results of The Hartford's study are summarized below.
Forty Percent Chance of a Claim
When small business owners purchase an insurance policy most don't think they will sustain any losses. They view insurance as protection against extraordinary events. Yet, losses may occur more frequently than many business owners expect. According to The Hartford, 40% of small businesses will incur a property or liability loss within the next ten years.
Most Common Types of Claims
• Inserted here: data records:
/*
No. 1
{"formula": "K5Rb4Na", "functional": "PBE-GGA", "state": "optimized geometry", "lattice_angstrom": [[4.868, 0.000, 0.000], [0.000, 4.868, 0.000], [0.000, 0.000, 31.836]], "species": ["Rb", "Rb", "K", "Rb", "Na", "K", "Rb", "K", "K", "K"], "fractional_positions": [[0.000, 0.000, 0.394], [0.000, 0.000, 0.820], [0.500, 0.500, 0.500], [0.000, 0.000, 0.606], [0.000, 0.000, 0.000], [0.500, 0.500, 0.073], [0.000, 0.000, 0.180], [0.500, 0.500, 0.287], [0.500, 0.500, 0.927], [0.500, 0.500, 0.713]], "space_group": "No. 123", "polymorph_energy_mev_per_atom": 0, "formation_enthalpy_0k_mev_per_atom": 10, "e_tot_ev_per_atom": -1.058, "dos_ef_per_ev_cell": 7.50}

No. 2
{"formula": "K2RbNa2", "functional": "PBE-GGA", "state": "optimized geometry", "lattice_angstrom": [[6.042, 0.000, 0.000], [0.000, 6.042, 0.000], [3.021, 3.021, 8.805]], "species": ["Na", "K", "Na", "K", "Rb"], "fractional_positions": [[0.405, 0.405, 0.191], [0.250, 0.750, 0.500], [0.595, 0.595, 0.809], [0.750, 0.250, 0.500], [0.000, 0.000, 0.000]], "space_group": "No. 139", "polymorph_energy_mev_per_atom": 34, "formation_enthalpy_0k_mev_per_atom": 58, "e_tot_ev_per_atom": -1.102, "dos_ef_per_ev_cell": 3.62}

No. 3
{"formula": "K9Rb2Na", "functional": "PBE-GGA", "state": "optimized geometry", "lattice_angstrom": [[-3.468, -5.556, -0.894], [4.892, -2.457, -3.705], [8.277, -7.750, 16.067]], "species": ["K", "K", "K", "Rb", "K", "K", "Na", "K", "K", "K", "K", "Rb"], "fractional_positions": [[0.500, 0.500, 0.000], [0.000, 0.500, 0.147], [0.500, 0.500, 0.323], [0.000, 0.000, 0.677], [0.500, 0.500, 0.677], [0.500, 0.000, 0.500], [0.000, 0.000, 0.000], [0.500, 0.000, 0.853], [0.500, 0.000, 0.147], [0.000, 0.500, 0.500], [0.000, 0.500, 0.853], [0.000, 0.000, 0.323]], "space_group": "No. 123", "formation_enthalpy_0k_mev_per_atom": 8, "e_tot_ev_per_atom": -1.086, "dos_ef_per_ev_cell": 8.52}

No. 4
{"formula": "K4Rb3Na", "functional": "PBE-GGA", "state": "optimized geometry", "lattice_angstrom": [[0.234, 2.852, -3.464], [0.831, -6.072, -4.942], [-17.779, 0.813, 2.384]], "species": ["Rb", "K", "Rb", "K", "K", "K", "Rb", "Na"], "fractional_positions": [[0.000, 0.500, 0.000], [0.775, 0.773, 0.550], [0.150, 0.653, 0.300], [0.093, 0.096, 0.187], [0.907, 0.904, 0.813], [0.225, 0.227, 0.450], [0.850, 0.347, 0.700], [0.500, 0.000, 0.000]], "space_group": "No. 12", "polymorph_energy_mev_per_atom": 32, "formation_enthalpy_0k_mev_per_atom": 53, "e_tot_ev_per_atom": -1.024, "dos_ef_per_ev_cell": 6.03}

No. 5
*/
The Hartford's analysis provides some insight on the types of claims small businesses can expect. The insurer cited the following as the ten most common types of claims incurred by small businesses. The percentage shown next to each type of claim is the percentage of total claims.
- Burglary and Theft (20%) The perpetrators of these crimes may be dishonest employees or outsiders.
- Water and Freezing Damage (15%) These include claims involving roof damage from snow or ice and damage caused by frozen pipes
- Wind and Hail Damage (15%)
Calculated crystals, as found in the file:
=====
No. 1
The following is a GGA-PBE calculation of AcDy2Ho7 after structural relaxation, from Alexandria via LeMat-Bulk.

Values from the calculation:
Total energy, eV/atom: -4.499
Excess energy over the best structure of this formula in the dataset, eV/atom: 0.0000
ΔE_f, meV/atom: 37.0

Lattice parameters (Å, degrees): 6.1764 7.9917 9.4464 120.44 90.09 58.86
Atoms (fractional coordinates):
Ho: 0.5000 0.5000 0.0000
Ho: 0.8995 0.9001 0.5965
Dy: 0.4036 0.3943 0.5966
Ho: 0.7971 0.7986 0.2025
Ho: 0.2029 0.2014 0.7975
Ac: 0.0000 0.0000 0.0000
Ho: 0.1005 0.0999 0.4035
Ho: 0.7053 0.6937 0.7954
Ho: 0.2947 0.3063 0.2046
Dy: 0.5964 0.6057 0.4034



No. 2
The following is a GGA-PBE calculation of KInRh after structural relaxation, from Alexandria via LeMat-Bulk.

Values from the calculation:
Total energy, eV/atom: -3.615
ΔE_f, meV/atom: 114.3

Lattice parameters (Å, degrees): 4.4954 4.4954 5.2408 90.00 90.00 120.00
Atoms (fractional coordinates):
In: 0.0000 0.0000 0.8340
K: 0.6667 0.3333 0.3333
Rh: 0.3333 0.6667 0.8328



No. 3
The following is a GGA-PBE calculation of BeAsIrSe2 after structural relaxation, from Alexandria via LeMat-Bulk.

Values from the calculation:
Formation energy without anion corrections, meV/atom: 931
Total energy, eV/atom: -3.910
Excess energy over the best structure of this formula in the dataset, eV/atom: 0.1540

Lattice parameters (Å, degrees): 5.1116 5.1116 4.5538 90.00 90.00 90.00
Atoms (fractional coordinates):
Se: 0.0000 0.5000 0.0000
Se: 0.5000 0.0000 0.0000
Ir: 0.0000 0.0000 0.0000
As: 0.0000 0.0000 0.5000
Be: 0.5000 0.5000 0.5000
=====
- Fire Damage(10%) Fire is one of the most common causes of property damage, but many policyholders underestimate its destructive power.
- Customer Slips and Falls (10%) Almost any business can incur a slip-and-fall claim. However, your company may be more vulnerable to such claims if customers or members of the public regularly visit your premises or work site.
- Customer Injury and Damage (Less than 5%) Customers may sustain bodily injury or property damage in accidents that do not involve slips and falls. For instance, a customer is injured in your office when a heavy floor lamp falls over and hits him in the head.
- Product Liability (Less than 5%) Your vulnerability to a product liability claim depends on a variety of factors including the nature of your product and warranties you make when you sell the product.
- Struck by an Object (Less than 5%)
- Reputational Harm (Less than 5%) These are third-party claims against small businesses for acts like libel and slander. Plaintiffs allege that their reputation was damaged by such acts.
- Vehicle Accident (Less than 5%) A vehicle safety program can help prevent auto accident claims.
Most Costly Claims
Clearly, some types of claims occur more frequently than others. Yet, claim frequency is only one aspect of claims that insurers consider. They are also concerned about claim severity (the size of claims). The Hartford calculated the average cost of claims for each of the ten categories cited above. Here are the ten categories in order of average cost, from highest to lowest.
- Reputational Harm ($50,000)
_Someone pasted data records at this point_
- - -
The following is a PBE calculation of an optimized crystal structure of Pr5Dy3Se8, from Alexandria via LeMat-Bulk.

Computed properties:
Its density of states at the Fermi level is 9.59 states/eV/f.u. For the calculated density, the calculation gives 7.2 g cm⁻³. For the raw total energy, the calculation gives -94.450 eV/cell. As for the space group: R-3m, No. 166. The calculation puts the energy relative to the elements, uncorrected at -1804.4 meV/atom.

Structure (POSCAR):
```
Pr5Dy3Se8
1.0
7.230 0.000 4.142
2.429 6.810 4.142
-0.043 -0.030 8.457
Pr Se Dy
5 8 3
Cartesian
4.830 3.405 4.142 Pr
4.808 3.390 8.370 Pr
0.000 0.000 0.000 Pr
1.215 3.405 2.071 Pr
3.615 0.000 2.071 Pr
5.988 1.610 6.311 Se
7.272 5.127 12.452 Se
3.629 5.170 10.429 Se
3.528 5.099 6.311 Se
2.345 1.653 4.289 Se
6.088 1.681 10.429 Se
2.384 1.681 8.308 Se
7.232 5.099 8.433 Se
3.594 -0.015 6.299 Dy
1.193 3.390 6.299 Dy
-0.021 -0.015 4.229 Dy
```



The following is a PBE calculation of an optimized crystal structure of MnTl2Rh, from Alexandria via LeMat-Bulk.

Computed properties:
The energy above the most stable polymorph in this dataset comes out at 0.1652 eV/atom. Its density of states at the Fermi level is 3.04 states/eV/f.u. For the calculated density, the calculation gives 12.4 g cm⁻³. For the raw total energy, the calculation gives -19.898 eV/cell. As for the space group: Cmmm, No. 65. Its formation energy is 0.34 eV/atom.

Structure (POSCAR):
```
MnTl2Rh
1.0
4.507 0.790 -0.637
-0.883 4.489 -0.637
0.394 0.574 3.489
Mn Tl Rh
1 2 1
Cartesian
2.450 0.682 1.426 Mn
1.812 2.640 -0.637 Tl
0.000 0.000 0.000 Tl
-0.244 2.532 1.426 Rh
```

~~~~~

Computed, not measured: crystalline AcRuWO6 at its relaxed geometry at the PBE with a Hubbard U level of DFT.

Structure (POSCAR):
```
AcRuWO6
1.0
5.727 0.000 0.000
-2.864 4.960 0.000
0.000 0.000 8.142
Ac Ru W O
2 2 2 12
direct
0.333 0.667 0.250
0.667 0.333 0.750
0.000 0.000 0.000
0.000 0.000 0.500
0.333 0.667 0.750
0.667 0.333 0.250
0.080 0.363 0.614
0.080 0.717 0.886
0.283 0.363 0.886
0.283 0.920 0.614
0.363 0.080 0.114
0.363 0.283 0.386
0.637 0.717 0.614
0.637 0.920 0.886
0.717 0.080 0.386
0.717 0.637 0.114
0.920 0.283 0.114
0.920 0.637 0.386
```

Calculated values
Final energy, eV per atom: -7.450
Total magnetization, μB/f.u.: 1.0
Density of states at the Fermi level, states/eV/atom: 0.39

~~~~~

Entry 1:
## SrV2GeO8 (PBE with a Hubbard U)

Data for a relaxed SrV2GeO8 crystal.

Lattice parameters (Å, degrees): 5.453 5.453 6.807 90.00 90.00 120.00
Positions (direct):
Sr 0.000 0.000 0.000
V 0.333 0.667 0.743
V 0.667 0.333 0.257
Ge 0.000 0.000 0.500
O 0.112 0.311 0.672
O 0.199 0.888 0.672
O 0.311 0.199 0.328
O 0.333 0.667 0.988
O 0.667 0.333 0.012
O 0.689 0.801 0.672
O 0.801 0.112 0.328
O 0.888 0.689 0.328

Computed properties:
* uncorrected energy: -85.41 eV per cell
* SG: P-3
* Fermi-level density of states: 0.000 states/eV/cell


Entry 2:
## Sr3VGe2O8 (PBE with a Hubbard U)

Data for a relaxed Sr3VGe2O8 crystal.
- - -
_End of the data records_
- Vehicle Accident ($45,000)
- Fire ($35,000)
- Product Liability ($35,000)
- Customer Injury or Damage ($30,000)
- Wind and Hail Damage ($26,000)
- Customer Slip and Fall ($20,000)
- Struck by an Object ($10,000)
- Water and Freezing Damage ($17,000)
- Burglary and Theft ($8,000)
Lessons for Small Businesses
The claims analysis conducted by The Hartford is based on the insurer's own loss data. An analysis conducted by another insurer might yield different results. Still, The Hartford's study provides useful information for small business owners. It can help small firms decide where to concentrate their efforts to control losses.